Input
Starting from DFT lattice parameters and positions (PBE), the PXRD pattern of K2PtC4Br2N4 was computed for Cu Kα.
No peak broadening, texture or thermal motion is included.

Structure:
```
data_K2PtC4Br2N4
_chemical_formula_sum 'K4 Pt2 C8 Br4 N8'
_cell_length_a 7.314
_cell_length_b 9.262
_cell_length_c 8.806
_cell_angle_alpha 90.00
_cell_angle_beta 106.71
_cell_angle_gamma 90.00
_symmetry_space_group_name_H-M 'P 1 21/c 1'
_symmetry_Int_Tables_number 14
_symmetry_space_group_name_Hall '-P 2ybc'
loop_
_atom_site_label
_atom_site_type_symbol
_atom_site_fract_x
_atom_site_fract_y
_atom_site_fract_z
_atom_site_occupancy
K1 K 0.003 0.220 0.378 1
Pt1 Pt 0.500 0.000 0.000 1
C1 C 0.298 0.037 0.110 1
C2 C 0.306 0.046 0.792 1
Br1 Br 0.397 0.738 0.966 1
N1 N 0.176 0.060 0.168 1
N2 N 0.187 0.073 0.674 1
```

Principal peaks in the range 2θ = 5–70°, low angle first:
- 2θ = 12.64°, I = 87, (1 0 0)
- 2θ = 14.20°, I = 100, (0 1 1)
- 2θ = 16.91°, I = 75, (1 1 -1)
- 2θ = 21.03°, I = 87, (0 0 2)
- 2θ = 21.24°, I = 48, (1 0 -2)
- 2θ = 28.05°, I = 35, (2 0 -2)

***

Starting from DFT lattice parameters and positions (PBE), the PXRD pattern of K2OsCBr5O was computed for Cu Kα.
No peak broadening, texture or thermal motion is included.

Structure:
```
data_K2OsCBr5O
_chemical_formula_sum 'K8 Os4 C4 Br20 O4'
_cell_length_a 14.833
_cell_length_b 10.871
_cell_length_c 7.517
_cell_angle_alpha 90.00
_cell_angle_beta 90.00
_cell_angle_gamma 90.00
_symmetry_space_group_name_H-M 'P n m a'
_symmetry_Int_Tables_number 62
_symmetry_space_group_name_Hall '-P 2ac 2n'
loop_
_atom_site_label
_atom_site_type_symbol
_atom_site_fract_x
_atom_site_fract_y
_atom_site_fract_z
_atom_site_occupancy
K1 K 0.147 0.000 0.171 1
Os1 Os 0.114 0.250 0.690 1
C1 C 0.023 0.250 0.526 1
Br1 Br 0.006 0.250 0.954 1
Br2 Br 0.117 0.018 0.703 1
Br3 Br 0.228 0.250 0.440 1
Br4 Br 0.250 0.250 0.914 1
O1 O 0.033 0.750 0.585 1
```

Principal peaks in the range 2θ = 5–70°, low angle first:
- 2θ = 14.33°, I = 95, (0 1 1)
- 2θ = 14.46°, I = 100, (2 1 0)
- 2θ = 16.79°, I = 89, (2 0 1)
- 2θ = 29.86°, I = 39, (3 0 2)
- 2θ = 32.96°, I = 64, (0 4 0)
- 2θ = 33.96°, I = 55, (4 0 2)

***

Starting from DFT lattice parameters and positions (PBE), the PXRD pattern of Sr2LiCBr3N2 was computed for Cu Kα.
No peak broadening, texture or thermal motion is included.

Structure:
Unit cell a=14.762 b=14.762 c=14.762 alpha=90.00 beta=90.00 gamma=90.00
Space group Fd-3m (No. 227, origin choice 2)
One atom of each set of equivalent atoms:
Sr: 0.029 0.029 0.221 (multiplicity 32)
Li: 0.000 0.000 0.500 (multiplicity 16)
C: 0.000 0.000 0.000 (multiplicity 16)
Br: 0.071 0.375 0.875 (multiplicity 48)
N: 0.048 0.048 0.048 (multiplicity 32)

Principal peaks in the range 2θ = 5–70°, low angle first:
- 2θ = 20.84°, I = 20, (2 2 2)
- 2θ = 29.65°, I = 35, (4 2 2)
- 2θ = 31.49°, I = 100, (3 3 3)
- 2θ = 34.36°, I = 38, (4 4 0)
- 2θ = 47.30°, I = 26, (7 3 1)
- 2θ = 52.61°, I = 36, (6 6 0)


Starting from a cell relaxed with PBE, the XRD peak list of BaSrRhO4 was computed for Cu Kα, 1.54184 Å.
Intensities are scaled so that the largest is 1000.

Top 12 peaks for 2θ = 10–80°, most intense first:
30.2 deg, I = 1000
31.6 deg, I = 633
55.4 deg, I = 371
45.3 deg, I = 324
52.9 deg, I = 179
13.5 deg, I = 154
62.9 deg, I = 151
41.3 deg, I = 143
41.1 deg, I = 139
42.1 deg, I = 105
75.0 deg, I = 103
66.0 deg, I = 99

```
BaSrRhO4
1.0
-2.003 2.003 6.564
2.003 -2.003 6.564
2.003 2.003 -6.564
Ba Sr Rh O
1 1 1 4
Direct
0.000 0.000 0.000 Ba
0.711 0.711 0.000 Sr
0.353 0.353 0.000 Rh
0.196 0.196 0.000 O
0.344 0.844 0.500 O
0.513 0.513 0.000 O
0.844 0.344 0.500 O
```
Wanted
Duplicate every line further above that contains the word "broadening".
Completed
No peak broadening, texture or thermal motion is included.
No peak broadening, texture or thermal motion is included.
No peak broadening, texture or thermal motion is included.